I know a very limited number of things. I know what it is like to grow up in
What I don’t know could float supertankers.
Writers are often told, “Write what you know.” Well, as you can see, that would put me in real trouble. Not only have I never been to any of the places or times I’ve set my stories in, but I’ve never committed a fraud or run away from home or fallen in love with a boss.
Or, as is the case in NOT QUITE A HUSBAND, ended a marriage.
Instead, my own rule has always been, Write What I Understand.
There are things I do not understand. Ménage-à-trois is the first thing that comes to mind—or basically any kind of multi-partner arrangement. Not that I don’t understand why people do it, but that I do not get, given my own views and experiences, how that leads to durable contentment for all parties involved. My take on relational happiness is two people focused on and devoted to each other, in faithfulness and equality.
But beyond a few such dead ends, I understand a great many things. Based on what I already know of my own immaturity, impulsiveness, and lack of will power, I can see how people would go beyond where I would pull up to a dead stop. I can see how they would do the unforgivable. I can see how they would make stupid decisions because they either cannot see any other way out or choose to ignore the consequences for the gratifications of the moment.
And then, there is my other rule: Write What I Can Imagine.
Or perhaps, What I Aspire To. My greatest aspiration is to one day achieve true generosity of spirit. It is easier to understand human frailties than to forgive them—all cynics understand human frailties. And it is easier to just understand that I’m a certain way rather than to undertake the effort to be better, to explore my own true potential.
So my books, in a way, are my meditations on this sincere but frequently bumbling aspiration of mine, on true generosity of spirit. Given that I understand how my characters get into such troubles, how do they extricate themselves from it? How do they rise above? How do they deal with their often justifiable hurt and anger? And how do others among them deal with their regret and self-loathing over things that cannot be undone?
I like to believe that my characters find the strength and courage and maturity in themselves to do what they need to do, whether it is to refuse to back down, to sacrifice, or to forgive.
Getting them there is the most difficult and, in the end, most rewarding part of writing. Because it is like getting myself there, however briefly. To bask in the extraordinary grace the human heart is capable of.
Record 1
Here is a molecular structure, C41H56LaN6S from the Open Molecules 2025 dataset. Energies are from the ωB97M-V functional and the def2-TZVPD basis.

The geometry in XYZ format:
```
105
Properties=species:S:1:pos:R:3:forces:R:3
La 0.900313 0.454736 -0.233846 1.788 -0.008 -0.002
S 3.829019 0.251862 -0.210309 0.203 -0.059 -0.068
N 3.685174 -1.485196 1.810650 -0.027 0.013 0.011
N -0.062201 2.613796 -0.224062 -0.284 -0.723 0.029
N 0.005116 0.452810 1.990949 -0.385 -0.026 -0.619
N -0.108028 -1.707864 -0.219652 -0.285 0.727 0.048
N -0.093629 0.450262 -2.409886 -0.322 -0.026 0.580
N 3.930938 -2.419381 -0.284490 0.032 0.033 -0.002
C -0.135715 4.781717 -0.907639 0.006 -0.041 -0.139
C -0.295028 1.575122 2.687671 -0.129 0.168 -0.078
C -0.931857 -0.186579 3.966407 0.095 0.123 0.042
C -0.941487 -0.213227 -4.421381 0.082 0.047 0.013
C 1.197584 6.271567 -2.430256 0.155 0.028 -0.068
C -2.779332 2.668560 -5.172948 -0.137 0.034 0.045
C -2.749836 2.660876 4.725309 -0.134 0.036 -0.031
C -0.168783 5.957969 -1.829142 -0.216 0.049 0.041
C -0.706247 -5.007339 1.379571 0.169 -0.013 0.053
C -0.455520 -3.843706 -0.897973 0.004 0.005 -0.020
C -0.859942 1.184589 3.962278 0.093 -0.161 0.063
C 3.756737 -2.345844 -1.731468 -0.088 0.031 0.032
C 3.812210 -1.322702 0.485195 -0.100 0.040 -0.015
C -1.473167 -1.116005 -5.487319 0.166 -0.026 -0.083
C -2.192037 -5.192291 1.676372 -0.142 0.001 -0.008
C -1.400543 2.090291 -5.476087 0.234 -0.048 -0.094
C -0.268548 -2.474051 -1.328465 -0.088 0.027 -0.070
C -0.401097 -0.645795 2.698805 -0.044 0.056 -0.097
C -0.122990 3.383755 -1.339235 -0.158 0.062 0.005
C -0.101016 4.786729 0.453119 -0.016 -0.006 0.120
C 0.708886 -5.447523 -2.435805 0.141 -0.013 -0.033
C -0.389837 1.564280 -3.119664 -0.131 0.082 0.029
C -1.594033 6.279494 1.805454 -0.148 0.024 0.017
C -0.614931 -5.017191 -1.809398 -0.171 -0.041 -0.012
C -0.416497 -1.958915 2.207067 -0.022 -0.153 -0.018
C -0.193164 2.906086 2.199510 -0.020 0.017 0.024
C -0.453719 -3.841710 0.474472 0.012 -0.045 0.011
C -1.352963 2.123753 5.017441 0.223 -0.027 0.118
C -0.339965 -1.648209 5.913160 0.202 -0.065 0.113
C -0.289555 2.892663 -2.643371 -0.009 -0.010 -0.036
C 4.669513 -3.597545 0.171621 -0.013 0.034 0.006
C -0.439261 -0.659721 -3.128777 -0.103 0.119 0.033
C -0.914920 1.154880 -4.414249 0.092 -0.073 -0.026
C -0.165906 5.972160 1.361817 0.187 0.029 0.015
C -0.420648 -1.970362 -2.646149 -0.014 -0.105 0.077
C -1.457443 -1.063651 5.057151 -0.204 -0.001 -0.088
C 3.813372 -0.362672 2.735918 -0.058 -0.010 -0.041
C -0.265998 -2.471324 0.898992 -0.122 0.102 0.034
C -2.937655 -1.484985 -5.262632 -0.144 -0.041 0.011
C -0.075151 3.393276 0.893639 -0.153 -0.047 -0.034
C 3.088737 -2.681914 2.401940 -0.056 0.019 -0.036
H -3.073192 3.359008 5.496088 0.003 0.013 0.037
H 0.265024 -0.857073 6.359476 -0.035 0.024 -0.001
H -0.453917 3.653382 -3.397374 0.021 0.018 -0.001
H -1.626665 7.140440 2.472129 0.026 0.015 0.009
H 1.134512 -4.645879 -3.042324 -0.016 0.023 -0.010
What I know is and will always be very limited. But my understand is deeper, and my aspiration has the potential to encompass the whole universe. (Why not dream big, eh?
This was great.
If we had to write what we “knew,” there would be no such thing as fiction. Libraries and bookstores would have only autobiography.
Shakespeare (probably) didn’t know 12th century Verona or teen love suicide or cross dressing love affairs (unless Shakespeare in Love is, in fact, true), or magic or murder or, or, or. And yet 400 years later we’re still reading what he wrote about them.
I think to write what you really have to “know” (or understand as you’ve said here) is people. How they act, how they react, and especially how they feel. (Not “Human Nature” because abstractions generally make poor stories–people.)
Yes, write what you understand and imagine. Perfectly put.
I’ve found that writing is a good way to expand understanding and imagination. It’s when you push the boundaries that you really start thinking about who and why and what kind of person would do this and why. It’s malleable. In some sense, you know and understand by writing, and if you don’t understand what you’ve written, it’s probably a good sign that you need to keep working.
That’s very perceptive. I don’t struggle with the “write what you know” concept because I’m greedy for sensation: I want to know everything. As a result, I end up tossing everything and the kitchen sink into my novels. Ultimately, the more I learn, the more I realize what I don’t know, and that is humbling.
I’ve also come to realize that knowing everything doesn’t help me keep control of my life, or dodge the curve balls it throws my way. So when I write what I don’t know–which, as a historical romance author is a lot–I’m relinquishing the manic grip I’ve tried to have over my life (and good grief is writing the best way to realize you have no control over anything, and it’s best to accept it than to agonize over it!!).
Yes! Yes! If 'write what you know' were true then e.g. only people who should write about other worlds would be Buzz Aldrin & Co.!
Me, I go for 'write what I think would be fun to read/do myself if I were free as a bird and not a timid IRL person'. Which, for the record, is fun for me but so far hasn't resulted in any editorial interest. *g*
And, ref: previous post:
'writing at the pace of stoned snails' Hahaha! And I'm not telling my DH of the title bestowed upon yours since then he'll expect something similar.
I’ve always believed in “Write what you want to read.” If you write anything else, you won’t entertain yourself, and then, how can you hope to entertain other people?
Thank you.
You said it. And remember, Shakespeare was a purveyor of popular entertainment in his day.
You are right. And I think when you push those boundaries, you not only understand your characters better, but understand yourself better too.
I think as you develop as a professional writer, you have to let go of perfectionism at some point and settle for a limited perfectionist. Because perfectionism just takes too long.
And letting go is good for you. 😉 I know, I know, easy for me to say. I live like Pig Pen from Peanuts.
Feel free to bestow something similar on your hubby. I think my secretly likes it. 🙂
Yes that too. You have to read your story–again and again through the editing process as it so happens. So it’s really crucial that you write something you want to read.
### Misplaced data records
........
Entry 1:
Here is a structure of composition C48H48GeN6OTi in a non-equilibrium geometry from the OMol25 dataset. Energies are from wB97M-V/def2-TZVPD.

Calculated values
E: -141176.2535 eV
LUMO level: -0.31 eV
E_HOMO: -0.2573 Ha
HOMO-LUMO gap: 6.688 eV
energy relative to the best compared isomer or geometry (same formula, charge and spin): 0.0 kJ/mol

```
! wB97M-V def2-TZVPD RIJCOSX def2/J DEFGRID3
* xyz 0 1
Ti 0.10 -1.00 -0.34
C 3.49 -2.89 0.35
C 2.72 -4.19 0.14
C 1.20 -4.03 0.20
N 0.65 -3.07 -0.76
C 0.50 -3.40 -2.01
C 0.86 -4.67 -2.55
C 0.97 -5.08 -3.86
C 0.74 -4.37 -5.05
C 0.12 -3.15 -5.15
C -0.42 -2.34 -4.14
C -0.30 -2.40 -2.77
N -0.94 -1.54 -1.94
C -2.39 -1.37 -2.08
C -3.04 -2.29 -1.05
C -2.86 -1.85 0.40
N -1.45 -1.68 0.85
C -1.23 -1.60 2.15
C -2.28 -1.51 3.10
C -2.28 -1.58 4.47
C -1.23 -1.78 5.36
C 0.10 -1.85 5.02
C 0.72 -1.69 3.78
C 0.20 -1.48 2.50
N 0.99 -1.19 1.45
C 2.42 -0.95 1.67
C 3.27 -2.23 1.72
H 3.23 -2.19 -0.45
H 4.55 -3.11 0.22
H 3.01 -4.92 0.90
H 3.00 -4.62 -0.83
H 0.93 -3.68 1.19
H 0.72 -5.00 0.08
H 1.10 -5.43 -1.82
H 1.32 -6.10 -3.98
H 1.02 -4.86 -5.97
H -0.01 -2.78 -6.16
H -0.96 -1.46 -4.49
H -2.72 -1.64 -3.08
H -2.68 -0.34 -1.90
H -2.61 -3.29 -1.19
H -4.11 -2.37 -1.23
H -3.34 -2.60 1.03
H -3.40 -0.92 0.54
H -3.25 -1.35 2.66
H -3.26 -1.47 4.92
H -1.48 -1.87 6.41
H 0.79 -2.02 5.85
H 1.80 -1.72 3.83
H 2.55 -0.38 2.59
H 2.78 -0.31 0.88
H 2.83 -2.95 2.41
H 4.24 -1.94 2.14
O 1.48 -0.34 -1.27
C 2.57 -0.08 -2.03
C 3.03 -1.11 -2.85
C 4.12 -0.95 -3.69
C 4.78 0.27 -3.73
C 4.32 1.30 -2.93
C 3.22 1.16 -2.07
C 2.80 2.35 -1.29
N 2.24 2.39 -0.11
C 2.13 3.73 0.21
C 2.62 4.50 -0.80
N 3.04 3.61 -1.75
H 2.52 -2.06 -2.83
H 4.46 -1.78 -4.30
H 5.64 0.42 -4.37
H 4.85 2.25 -2.94
H 1.71 4.06 1.15
H 2.67 5.57 -0.93
H 3.41 3.84 -2.66
C -0.49 2.55 -1.73
Ge -0.96 1.42 -0.18
C -2.96 1.62 -0.08
C -3.79 1.80 -1.20
C -5.17 1.88 -1.08
C -5.77 1.79 0.17
C -4.98 1.64 1.30
C -3.59 1.56 1.17
C -0.61 2.50 1.47
C 0.05 1.89 2.52
C 0.33 2.56 3.74
C -0.04 3.86 3.90
C -0.73 4.54 2.87
C -1.13 5.90 3.04
C -1.80 6.56 2.06
C -2.12 5.89 0.85
C -1.74 4.59 0.65
C -1.03 3.86 1.65
H -1.36 3.06 -2.15
H -0.04 1.93 -2.52
H 0.25 3.30 -1.42
H -3.34 1.89 -2.18
H -5.78 2.02 -1.97
H -6.85 1.85 0.26
H -5.43 1.59 2.28
H -2.99 1.45 2.06
H 0.40 0.88 2.40
H 0.85 2.03 4.53
H 0.18 4.39 4.83
H -0.88 6.39 3.97
H -2.10 7.59 2.20
H -2.67 6.41 0.08
H -2.00 4.10 -0.27
*
```

Entry 2:
Here is a cluster of 17 separate species, C74H195N13O22 in total in a non-equilibrium geometry from the OMol25 dataset. Energies are from wB97M-V/def2-TZVPD.

Calculated values
E: -144302.0369 eV
LUMO level: 0.64 eV
E_HOMO: -0.3128 Ha
HOMO-LUMO gap: 9.156 eV

```
! wB97M-V def2-TZVPD RIJCOSX def2/J DEFGRID3
* xyz 0 1
C -3.21 8.71 0.47
C -1.88 7.95 0.68
C -1.26 7.61 -0.66
O -2.09 6.58 -1.31
C -1.71 6.47 -2.66
N -1.03 8.67 1.62
H -3.07 9.59 -0.14
H -3.63 8.93 1.46
H -3.92 8.02 -0.06
H -2.15 7.05 1.22
H -0.28 7.10 -0.55
H -1.18 8.44 -1.33
H -1.88 7.49 -3.14
H -2.27 5.62 -3.04
H -0.61 6.33 -2.73
H -0.61 9.54 1.32
........
### The piece goes on
Ha! I’m working on it Sherry. But it’s v. difficult. -.^
Don’t worry. Zen happens over time. You’ll get there. 🙂